Request
Transcribe the lines below up to the one that holds "8.1985 -3.9425", that line included.
Excerpt
~~~
ORCA calculation (wB97M-V/def2-TZVPD) on a cluster of 5 separate species, C31H87O7PSi8 in total.

CARTESIAN COORDINATES (ANGSTROEM)
C1 3.4578 -4.5653 -3.4642
C2 3.2452 -3.9798 -4.9804
C3 2.6568 -2.4524 -5.0627
C4 1.4065 -2.1486 -4.0180
C5 0.2895 -3.3680 -3.7822
C6 -0.8451 -2.7686 -4.8542
P1 -2.3175 -3.9415 -4.5337
O1 -1.8136 -5.1770 -3.3625
O2 -2.4811 -4.8712 -6.0380
C7 -0.8704 -1.2348 -4.2343
O3 0.5949 -0.9138 -4.2808
H1 2.4933 -5.2172 -3.2128
H2 4.4195 -5.2557 -3.3478
H3 3.4793 -3.7178 -2.6276
H4 4.2907 -3.9801 -5.5194
H5 2.5281 -4.6891 -5.6063
H6 2.1900 -2.3161 -6.1529
H7 3.5172 -1.6302 -5.0034
H8 1.9266 -1.9345 -2.9747
H9 0.0043 -3.1716 -2.6467
H10 0.6001 -4.4590 -4.0838
H11 -0.4622 -2.5827 -5.9463
H12 -2.2006 -4.9534 -2.4627
H13 -1.5090 -5.0755 -6.2777
H14 -1.6084 -0.4455 -4.7342
H15 -1.0427 -1.2746 -3.0556
O4 -4.1889 1.5242 -0.2524
Si1 -4.6538 1.0950 -1.8062
C8 -3.6909 2.0926 -3.0766
C9 -6.4898 1.4202 -2.0558
C10 -4.3348 -0.7277 -2.1332
Si2 -4.1490 2.8811 0.7328
C11 -3.4320 2.4740 2.4215
C12 -5.8845 3.5612 0.9850
C13 -3.0879 4.2255 -0.0431
H16 -3.9396 3.1556 -3.0040
H17 -3.9312 1.7560 -4.0909
H18 -2.6144 1.9781 -2.9207
H19 -7.0773 0.9047 -1.2903
H20 -6.8143 1.0643 -3.0377
H21 -6.7051 2.4906 -1.9921
H22 -4.8973 -1.3508 -1.4315
H23 -3.2718 -0.9611 -2.0277
H24 -4.6441 -0.9918 -3.1485
H25 -4.0344 1.7137 2.9256
H26 -3.4113 3.3678 3.0527
H27 -2.4082 2.0980 2.3276
H28 -6.3000 3.9210 0.0395
H29 -5.8712 4.3969 1.6910
H30 -6.5468 2.7856 1.3799
H31 -3.5354 4.5826 -0.9763
H32 -2.0864 3.8452 -0.2659
H33 -2.9898 5.0776 0.6337
O5 -0.3836 0.5739 6.9541
Si3 0.2441 -0.8815 7.5040
C14 -0.3349 -2.2985 6.4117
C15 -0.3198 -1.2155 9.2674
C16 2.1230 -0.8624 7.4865
Si4 -1.8744 1.2931 6.6828
C17 -1.6756 3.0389 6.0164
C18 -2.8588 1.3885 8.2827
C19 -2.8651 0.2998 5.4308
H34 -1.4189 -2.4267 6.4855
H35 0.1397 -3.2371 6.7173
H36 -0.0798 -2.1073 5.3654
H37 -0.0551 -0.3774 9.9190
H38 0.1540 -2.1201 9.6588
H39 -1.4040 -1.3532 9.3071
H40 2.5078 -0.0669 8.1316
H41 2.5004 -0.6991 6.4734
H42 2.5165 -1.8164 7.8487
H43 -1.1278 3.6648 6.7258
H44 -2.6552 3.4951 5.8435
H45 -1.1295 3.0319 5.0677
H46 -3.1002 0.3866 8.6486
H47 -3.7971 1.9289 8.1254
H48 -2.2857 1.9090 9.0554
H49 -3.1113 -0.6901 5.8284
H50 -2.2946 0.1666 4.5067
H51 -3.8003 0.8098 5.1875
O6 3.9603 -5.4665 2.4152
Si5 2.9613 -4.1782 2.0197
C20 3.9860 -2.6973 1.4783
C21 1.9195 -3.6754 3.5033
C22 1.7969 -4.6261 0.6145
Si6 5.1954 -5.8337 3.4892
C23 5.8012 -7.5966 3.2513
C24 4.5970 -5.6574 5.2637
C25 6.6545 -4.6756 3.2335
H52 4.5942 -2.3230 2.3072
H53 3.3355 -1.8837 1.1399
H54 4.6533 -2.9707 0.6558
H55 1.3579 -4.5333 3.8849
H56 1.2078 -2.8923 3.2269
H57 2.5527 -3.2928 4.3086
H58 1.1595 -5.4702 0.8945
H59 2.3583 -4.8993 -0.2830
H60 1.1519 -3.7774 0.3697
H61 4.9908 -8.3111 3.4184
H62 6.6065 -7.8218 3.9573
H63 6.1858 -7.7408 2.2366
H64 4.3421 -4.6170 5.4843
H65 5.3750 -5.9734 5.9651
H66 3.7090 -6.2733 5.4321
H67 6.3797 -3.6450 3.4803
H68 6.9891 -4.7018 2.1920
H69 7.4927 -4.9652 3.8717
O7 0.8611 5.8200 -4.4986
Si7 0.2329 4.2927 -4.7939
C26 1.0429 3.5340 -6.3120
C27 -1.6220 4.3918 -5.0913
C28 0.5295 3.1416 -3.3386
Si8 0.9972 7.3074 -5.2620
C29 1.8977 8.5488 -4.1759
C30 -0.7060 8.0031 -5.6535
C31 1.9559 7.1354 -6.8702
H70 0.7948 4.1067 -7.2106
H71 0.6961 2.5054 -6.4582
H72 2.1310 3.5191 -6.2011
H73 -2.1180 4.8888 -4.2522
H74 -2.0488 3.3909 -5.2008
H75 -1.8380 4.9568 -6.0024
H76 0.0522 3.5306 -2.4342
H77 1.5995 3.0291 -3.1440
H78 0.1133 2.1516 -3.5457
H79 1.3603 8.7041 -3.2367
H80 1.9797 9.5134 -4.6864
H81 2.9082 8.1985 -3.9425
H82 -1.2253 7.3695 -6.3781
H83 -0.6227 9.0081 -6.0780
H84 -1.3148 8.0604 -4.7467
H85 1.4063 6.5145 -7.5850
H86 2.9302 6.6711 -6.6901
H87 2.1203 8.1141 -7.3274

Properties
HOMO-LUMO gap: 9.1 eV
charge: 0
SMILES: CCC[C@@H]1C[C@@H](P(O)O)CO1.C[Si](C)(C)O[Si](C)(C)C.C[Si](C)(C)O[Si](C)(C)C.C[Si](C)(C)O[Si](C)(C)C.C[Si](C)(C)O[Si](C)(C)C
spin multiplicity: 1
E_tot: -4417.8365 Ha
E_HOMO: -8.85 eV
~~~
Solution
ORCA calculation (wB97M-V/def2-TZVPD) on a cluster of 5 separate species, C31H87O7PSi8 in total.

CARTESIAN COORDINATES (ANGSTROEM)
C1 3.4578 -4.5653 -3.4642
C2 3.2452 -3.9798 -4.9804
C3 2.6568 -2.4524 -5.0627
C4 1.4065 -2.1486 -4.0180
C5 0.2895 -3.3680 -3.7822
C6 -0.8451 -2.7686 -4.8542
P1 -2.3175 -3.9415 -4.5337
O1 -1.8136 -5.1770 -3.3625
O2 -2.4811 -4.8712 -6.0380
C7 -0.8704 -1.2348 -4.2343
O3 0.5949 -0.9138 -4.2808
H1 2.4933 -5.2172 -3.2128
H2 4.4195 -5.2557 -3.3478
H3 3.4793 -3.7178 -2.6276
H4 4.2907 -3.9801 -5.5194
H5 2.5281 -4.6891 -5.6063
H6 2.1900 -2.3161 -6.1529
H7 3.5172 -1.6302 -5.0034
H8 1.9266 -1.9345 -2.9747
H9 0.0043 -3.1716 -2.6467
H10 0.6001 -4.4590 -4.0838
H11 -0.4622 -2.5827 -5.9463
H12 -2.2006 -4.9534 -2.4627
H13 -1.5090 -5.0755 -6.2777
H14 -1.6084 -0.4455 -4.7342
H15 -1.0427 -1.2746 -3.0556
O4 -4.1889 1.5242 -0.2524
Si1 -4.6538 1.0950 -1.8062
C8 -3.6909 2.0926 -3.0766
C9 -6.4898 1.4202 -2.0558
C10 -4.3348 -0.7277 -2.1332
Si2 -4.1490 2.8811 0.7328
C11 -3.4320 2.4740 2.4215
C12 -5.8845 3.5612 0.9850
C13 -3.0879 4.2255 -0.0431
H16 -3.9396 3.1556 -3.0040
H17 -3.9312 1.7560 -4.0909
H18 -2.6144 1.9781 -2.9207
H19 -7.0773 0.9047 -1.2903
H20 -6.8143 1.0643 -3.0377
H21 -6.7051 2.4906 -1.9921
H22 -4.8973 -1.3508 -1.4315
H23 -3.2718 -0.9611 -2.0277
H24 -4.6441 -0.9918 -3.1485
H25 -4.0344 1.7137 2.9256
H26 -3.4113 3.3678 3.0527
H27 -2.4082 2.0980 2.3276
H28 -6.3000 3.9210 0.0395
H29 -5.8712 4.3969 1.6910
H30 -6.5468 2.7856 1.3799
H31 -3.5354 4.5826 -0.9763
H32 -2.0864 3.8452 -0.2659
H33 -2.9898 5.0776 0.6337
O5 -0.3836 0.5739 6.9541
Si3 0.2441 -0.8815 7.5040
C14 -0.3349 -2.2985 6.4117
C15 -0.3198 -1.2155 9.2674
C16 2.1230 -0.8624 7.4865
Si4 -1.8744 1.2931 6.6828
C17 -1.6756 3.0389 6.0164
C18 -2.8588 1.3885 8.2827
C19 -2.8651 0.2998 5.4308
H34 -1.4189 -2.4267 6.4855
H35 0.1397 -3.2371 6.7173
H36 -0.0798 -2.1073 5.3654
H37 -0.0551 -0.3774 9.9190
H38 0.1540 -2.1201 9.6588
H39 -1.4040 -1.3532 9.3071
H40 2.5078 -0.0669 8.1316
H41 2.5004 -0.6991 6.4734
H42 2.5165 -1.8164 7.8487
H43 -1.1278 3.6648 6.7258
H44 -2.6552 3.4951 5.8435
H45 -1.1295 3.0319 5.0677
H46 -3.1002 0.3866 8.6486
H47 -3.7971 1.9289 8.1254
H48 -2.2857 1.9090 9.0554
H49 -3.1113 -0.6901 5.8284
H50 -2.2946 0.1666 4.5067
H51 -3.8003 0.8098 5.1875
O6 3.9603 -5.4665 2.4152
Si5 2.9613 -4.1782 2.0197
C20 3.9860 -2.6973 1.4783
C21 1.9195 -3.6754 3.5033
C22 1.7969 -4.6261 0.6145
Si6 5.1954 -5.8337 3.4892
C23 5.8012 -7.5966 3.2513
C24 4.5970 -5.6574 5.2637
C25 6.6545 -4.6756 3.2335
H52 4.5942 -2.3230 2.3072
H53 3.3355 -1.8837 1.1399
H54 4.6533 -2.9707 0.6558
H55 1.3579 -4.5333 3.8849
H56 1.2078 -2.8923 3.2269
H57 2.5527 -3.2928 4.3086
H58 1.1595 -5.4702 0.8945
H59 2.3583 -4.8993 -0.2830
H60 1.1519 -3.7774 0.3697
H61 4.9908 -8.3111 3.4184
H62 6.6065 -7.8218 3.9573
H63 6.1858 -7.7408 2.2366
H64 4.3421 -4.6170 5.4843
H65 5.3750 -5.9734 5.9651
H66 3.7090 -6.2733 5.4321
H67 6.3797 -3.6450 3.4803
H68 6.9891 -4.7018 2.1920
H69 7.4927 -4.9652 3.8717
O7 0.8611 5.8200 -4.4986
Si7 0.2329 4.2927 -4.7939
C26 1.0429 3.5340 -6.3120
C27 -1.6220 4.3918 -5.0913
C28 0.5295 3.1416 -3.3386
Si8 0.9972 7.3074 -5.2620
C29 1.8977 8.5488 -4.1759
C30 -0.7060 8.0031 -5.6535
C31 1.9559 7.1354 -6.8702
H70 0.7948 4.1067 -7.2106
H71 0.6961 2.5054 -6.4582
H72 2.1310 3.5191 -6.2011
H73 -2.1180 4.8888 -4.2522
H74 -2.0488 3.3909 -5.2008
H75 -1.8380 4.9568 -6.0024
H76 0.0522 3.5306 -2.4342
H77 1.5995 3.0291 -3.1440
H78 0.1133 2.1516 -3.5457
H79 1.3603 8.7041 -3.2367
H80 1.9797 9.5134 -4.6864
H81 2.9082 8.1985 -3.9425